Material:
........
The following is a theoretical powder XRD pattern of AuBr2Cl. It was derived from a DFT-relaxed cell (PBE, Alexandria), using Cu Kα (weighted mean of Kα1 and Kα2).
Lines closer than 0.1° are merged.

Structure:
```
data_AuBr2Cl
_space_group_name_H-M_alt 'C 1 2/m 1'
_space_group_IT_number 12
_cell_length_a 11.2248
_cell_length_b 3.7803
_cell_length_c 7.8899
_cell_angle_alpha 90.00
_cell_angle_beta 134.25
_cell_angle_gamma 90.00
loop_
_space_group_symop_operation_xyz
'x,y,z'
'-x,-y,-z'
'-x,y,-z'
'x,-y,z'
'x+1/2,y+1/2,z'
'-x+1/2,-y+1/2,-z'
'-x+1/2,y+1/2,-z'
'x+1/2,-y+1/2,z'
loop_
_atom_site_label
_atom_site_type_symbol
_atom_site_fract_x
_atom_site_fract_y
_atom_site_fract_z
Au1 Au 0.0000 0.0000 0.0000
Br1 Br 0.2114 0.5000 0.2114
Cl1 Cl 0.0000 0.5000 0.5000
```

Most intense lines, 2θ = 10–90°, low angle first:
15.7 deg, d = 5.652 Å, intensity 54, hkl 0 0 1; 15.8 deg, d = 5.611 Å, intensity 54, hkl 2 0 -1; 22.5 deg, d = 3.945 Å, intensity 100, hkl 2 0 -2; 26.1 deg, d = 3.418 Å, intensity 16, hkl 1 1 0; 34.4 deg, d = 2.604 Å, intensity 61, hkl 1 1 1; 34.5 deg, d = 2.596 Å, intensity 60, hkl 3 1 -1; 41.3 deg, d = 2.186 Å, intensity 19, hkl 3 1 0; 47.7 deg, d = 1.907 Å, intensity 37, hkl 1 1 -3; 47.9 deg, d = 1.897 Å, intensity 24, hkl 5 1 -3; 53.8 deg, d = 1.705 Å, intensity 20, hkl 2 2 -2



The following is a theoretical powder XRD pattern of Na2As7Pd12. It was derived from a DFT-relaxed cell (PBE, Alexandria), using Cu Kα (weighted mean of Kα1 and Kα2).
Lines closer than 0.1° are merged.

Structure:
```
data_Na2As7Pd12
_space_group_name_H-M_alt 'P -3'
_space_group_IT_number 147
_cell_length_a 10.2165
_cell_length_b 10.2165
_cell_length_c 4.0122
_cell_angle_alpha 90.00
_cell_angle_beta 90.00
_cell_angle_gamma 120.00
loop_
_space_group_symop_operation_xyz
'x,y,z'
'-x,-y,-z'
'-y,x-y,z'
'y,-x+y,-z'
'-x+y,-x,z'
'x-y,x,-z'
loop_
_atom_site_label
_atom_site_type_symbol
_atom_site_fract_x
_atom_site_fract_y
_atom_site_fract_z
Na1 Na 0.3333 0.6667 0.2493
As1 As 0.0000 0.0000 0.5000
As2 As 0.1211 0.7084 0.7489
Pd1 Pd 0.0551 0.4361 0.7484
Pd2 Pd 0.1074 0.2551 0.2385
```

Most intense lines, 2θ = 10–90°, low angle first:
17.4 deg, d = 5.108 Å, intensity 31, hkl 1 1 0; 34.9 deg, d = 2.569 Å, intensity 100, hkl 2 1 1; 37.9 deg, d = 2.376 Å, intensity 19, hkl 3 0 1; 43.2 deg, d = 2.093 Å, intensity 41, hkl 4 -1 1; 44.6 deg, d = 2.030 Å, intensity 25, hkl 3 2 0; 45.2 deg, d = 2.006 Å, intensity 23, hkl 0 0 2; 46.9 deg, d = 1.937 Å, intensity 20, hkl 0 4 1; 47.1 deg, d = 1.931 Å, intensity 30, hkl 1 4 0; 67.3 deg, d = 1.391 Å, intensity 17, hkl 1 4 2; 79.5 deg, d = 1.206 Å, intensity 17, hkl 5 3 1



The following is a theoretical powder XRD pattern of Ac2PuRh9. It was derived from a DFT-relaxed cell (PBE, Alexandria), using Cu Kα (weighted mean of Kα1 and Kα2).
Lines closer than 0.1° are merged.

Structure:
```
data_Ac2PuRh9
_space_group_name_H-M_alt 'R -3 m'
_space_group_IT_number 166
_space_group_name_Hall '-R 3 2"'
_cell_length_a 5.3525
_cell_length_b 5.3525
_cell_length_c 27.2457
_cell_angle_alpha 90.00
_cell_angle_beta 90.00
_cell_angle_gamma 120.00
loop_
_atom_site_label
_atom_site_type_symbol
_atom_site_fract_x
_atom_site_fract_y
_atom_site_fract_z
Ac1 Ac 0.0000 0.0000 0.1374
Pu1 Pu 0.0000 0.0000 0.0000
Rh1 Rh 0.0000 0.0000 0.3329
Rh2 Rh 0.0000 0.0000 0.5000
Rh3 Rh 0.0011 0.5006 0.0789
```

Most intense lines, 2θ = 10–90°, low angle first:
30.0 deg, d = 2.981 Å, intensity 33, hkl 1 0 7; 32.6 deg, d = 2.745 Å, intensity 33, hkl 0 1 8; 33.5 deg, d = 2.676 Å, intensity 36, hkl 1 1 0; 39.0 deg, d = 2.307 Å, intensity 100, hkl 1 1 6; 42.4 deg, d = 2.133 Å, intensity 13, hkl 2 0 5; 57.7 deg, d = 1.598 Å, intensity 13, hkl 2 1 7; 59.3 deg, d = 1.558 Å, intensity 13, hkl 1 2 8; 62.3 deg, d = 1.490 Å, intensity 12, hkl 2 0 14; 63.6 deg, d = 1.463 Å, intensity 17, hkl 0 3 6; 70.4 deg, d = 1.338 Å, intensity 18, hkl 2 2 0
........

Assignment:
Copy the notes above character by character.

Result:
The following is a theoretical powder XRD pattern of AuBr2Cl. It was derived from a DFT-relaxed cell (PBE, Alexandria), using Cu Kα (weighted mean of Kα1 and Kα2).
Lines closer than 0.1° are merged.

Structure:
```
data_AuBr2Cl
_space_group_name_H-M_alt 'C 1 2/m 1'
_space_group_IT_number 12
_cell_length_a 11.2248
_cell_length_b 3.7803
_cell_length_c 7.8899
_cell_angle_alpha 90.00
_cell_angle_beta 134.25
_cell_angle_gamma 90.00
loop_
_space_group_symop_operation_xyz
'x,y,z'
'-x,-y,-z'
'-x,y,-z'
'x,-y,z'
'x+1/2,y+1/2,z'
'-x+1/2,-y+1/2,-z'
'-x+1/2,y+1/2,-z'
'x+1/2,-y+1/2,z'
loop_
_atom_site_label
_atom_site_type_symbol
_atom_site_fract_x
_atom_site_fract_y
_atom_site_fract_z
Au1 Au 0.0000 0.0000 0.0000
Br1 Br 0.2114 0.5000 0.2114
Cl1 Cl 0.0000 0.5000 0.5000
```

Most intense lines, 2θ = 10–90°, low angle first:
15.7 deg, d = 5.652 Å, intensity 54, hkl 0 0 1; 15.8 deg, d = 5.611 Å, intensity 54, hkl 2 0 -1; 22.5 deg, d = 3.945 Å, intensity 100, hkl 2 0 -2; 26.1 deg, d = 3.418 Å, intensity 16, hkl 1 1 0; 34.4 deg, d = 2.604 Å, intensity 61, hkl 1 1 1; 34.5 deg, d = 2.596 Å, intensity 60, hkl 3 1 -1; 41.3 deg, d = 2.186 Å, intensity 19, hkl 3 1 0; 47.7 deg, d = 1.907 Å, intensity 37, hkl 1 1 -3; 47.9 deg, d = 1.897 Å, intensity 24, hkl 5 1 -3; 53.8 deg, d = 1.705 Å, intensity 20, hkl 2 2 -2



The following is a theoretical powder XRD pattern of Na2As7Pd12. It was derived from a DFT-relaxed cell (PBE, Alexandria), using Cu Kα (weighted mean of Kα1 and Kα2).
Lines closer than 0.1° are merged.

Structure:
```
data_Na2As7Pd12
_space_group_name_H-M_alt 'P -3'
_space_group_IT_number 147
_cell_length_a 10.2165
_cell_length_b 10.2165
_cell_length_c 4.0122
_cell_angle_alpha 90.00
_cell_angle_beta 90.00
_cell_angle_gamma 120.00
loop_
_space_group_symop_operation_xyz
'x,y,z'
'-x,-y,-z'
'-y,x-y,z'
'y,-x+y,-z'
'-x+y,-x,z'
'x-y,x,-z'
loop_
_atom_site_label
_atom_site_type_symbol
_atom_site_fract_x
_atom_site_fract_y
_atom_site_fract_z
Na1 Na 0.3333 0.6667 0.2493
As1 As 0.0000 0.0000 0.5000
As2 As 0.1211 0.7084 0.7489
Pd1 Pd 0.0551 0.4361 0.7484
Pd2 Pd 0.1074 0.2551 0.2385
```

Most intense lines, 2θ = 10–90°, low angle first:
17.4 deg, d = 5.108 Å, intensity 31, hkl 1 1 0; 34.9 deg, d = 2.569 Å, intensity 100, hkl 2 1 1; 37.9 deg, d = 2.376 Å, intensity 19, hkl 3 0 1; 43.2 deg, d = 2.093 Å, intensity 41, hkl 4 -1 1; 44.6 deg, d = 2.030 Å, intensity 25, hkl 3 2 0; 45.2 deg, d = 2.006 Å, intensity 23, hkl 0 0 2; 46.9 deg, d = 1.937 Å, intensity 20, hkl 0 4 1; 47.1 deg, d = 1.931 Å, intensity 30, hkl 1 4 0; 67.3 deg, d = 1.391 Å, intensity 17, hkl 1 4 2; 79.5 deg, d = 1.206 Å, intensity 17, hkl 5 3 1



The following is a theoretical powder XRD pattern of Ac2PuRh9. It was derived from a DFT-relaxed cell (PBE, Alexandria), using Cu Kα (weighted mean of Kα1 and Kα2).
Lines closer than 0.1° are merged.

Structure:
```
data_Ac2PuRh9
_space_group_name_H-M_alt 'R -3 m'
_space_group_IT_number 166
_space_group_name_Hall '-R 3 2"'
_cell_length_a 5.3525
_cell_length_b 5.3525
_cell_length_c 27.2457
_cell_angle_alpha 90.00
_cell_angle_beta 90.00
_cell_angle_gamma 120.00
loop_
_atom_site_label
_atom_site_type_symbol
_atom_site_fract_x
_atom_site_fract_y
_atom_site_fract_z
Ac1 Ac 0.0000 0.0000 0.1374
Pu1 Pu 0.0000 0.0000 0.0000
Rh1 Rh 0.0000 0.0000 0.3329
Rh2 Rh 0.0000 0.0000 0.5000
Rh3 Rh 0.0011 0.5006 0.0789
```

Most intense lines, 2θ = 10–90°, low angle first:
30.0 deg, d = 2.981 Å, intensity 33, hkl 1 0 7; 32.6 deg, d = 2.745 Å, intensity 33, hkl 0 1 8; 33.5 deg, d = 2.676 Å, intensity 36, hkl 1 1 0; 39.0 deg, d = 2.307 Å, intensity 100, hkl 1 1 6; 42.4 deg, d = 2.133 Å, intensity 13, hkl 2 0 5; 57.7 deg, d = 1.598 Å, intensity 13, hkl 2 1 7; 59.3 deg, d = 1.558 Å, intensity 13, hkl 1 2 8; 62.3 deg, d = 1.490 Å, intensity 12, hkl 2 0 14; 63.6 deg, d = 1.463 Å, intensity 17, hkl 0 3 6; 70.4 deg, d = 1.338 Å, intensity 18, hkl 2 2 0